A few weeks ago, I was privileged to take part in the 4th annual 2014 CDN Women in the IT Channel Recognition Luncheon at the beautiful Estates of Sunnybrook, Vaughan House, in Toronto. I attended with Laura Tsingos, Director of Operations at HighVail Systems Inc., who was one of the distinguished honorees at the 2nd annual Recognition Luncheon in 2012. The event is sponsored by ITWC, publisher of CDN (Computer Dealer News) and Ingram Micro Canada.
The day was action-packed with one inspiring session after another. The morning began with a choice of two interactive workshops. Laura and I chose Exceptional Leading: 17 Ideas on Leading Exceptionally Well in IT, presented by Executive Coach Karen Hanna, of TKB Hanna & Associates and SAP Canada COO Leagh Turner. Both innovative workshop leaders covered a lot of ground, including Karen’s concepts of the “Talent/Trouble Matrix,” “Borrowing Talent,” “Over-Hiring for Short-Term Gaps,” “The 2:1 Communication Approach,” and many excellent others. The advice given by Karen and Leigh was invaluable for all the attendees in the room, no matter what position one held, and the ideas presented were highly useful for all industries, not solely for IT.
The fun continued after the morning sessions with a welcome reception where Laura and I got to mingle with a variety of vibrant, interesting, dynamic women (and a few men!). There was an uplifting vibe in the room and each guest was invited to take a complementary professional photo.
We were treated to a delightful luncheon, truly fulfilling in every way. The tables were decorated with tiny vases filled with an array of gorgeous, whimsical florals, and the wine, gourmet dishes, and conversation flowed. The effervescent buzz in the room, along with the vision of all these women engaging with one another on all levels was invigorating.
Jill Dempsey, Host of Metro Morning, CBC Radio One , and the Master of Ceremonies for the luncheon, gave the opening remarks. She spoke of the huge imbalance of women in IT in Canada, but that it was encouraging to know that there is a 38 per cent increase of women applying for IT jobs, and enrollment in Canadian universities has risen by nine per cent.
We were then addressed by Paolo Del Nibletto, Associate Publisher & Editor, CDN – Computer Dealer News, who shared an incredible story about a woman named Anne Mulcahy who began her career back in 1976 as a salesperson at Xerox and who eventually climbed the ranks to Chairperson & CEO. Paolo relayed that in 2001, when Xerox was hit very hard by the dotcom crash, the company approached Anne to help save them. A woman totally ahead of her time, incredibly savvy and with sheer determination and chutzpah (my words!), she turned to Warren Buffet who at the time was the 2nd richest man on earth, for advice. Eventually, as Paolo relayed, she rescued Xerox, bringing it back from near ruins to becoming totally debt free. She was named CEO of the year in 2008 and the rest, as they say, is history. Paolo’s moving words left everyone in the room with incredible positivity and inspiration, and with a clear message that women can do whatever they want if they set their minds to it.
There were more stimulating speeches and presentations by Fawn Annan, President & Group Publisher, IT World Canada, Mark Snider, General Manager, Ingram Micro Canada, Jennifer Johnson, Senior Director, Marketing, Ingram Micro North America, and others.
Records of molecules, as found in the file:
The following is a DFT calculation (wB97M-V/def2-TZVPD) of C26H25F6N2O16S2Sr as an isolated structure.

XYZ file:
```
78
Properties=species:S:1:pos:R:3
Sr -0.610 0.143 0.432
C -4.353 -3.043 -2.785
C -3.506 -3.482 -3.835
C -1.963 -3.491 -3.635
O -1.194 -3.973 -4.437
C -1.470 -2.966 -2.370
C -2.303 -2.498 -1.375
C -3.796 -2.559 -1.572
O -4.551 -1.894 -0.794
O -1.832 -2.165 -0.210
O -3.957 -3.867 -4.953
H -5.423 -3.049 -2.904
H -0.393 -3.060 -2.293
C 4.063 -0.958 -3.356
C 3.848 -0.409 -4.641
C 2.447 0.175 -4.944
O 2.078 0.225 -6.107
C 1.563 0.417 -3.844
C 1.819 -0.050 -2.555
C 3.182 -0.687 -2.330
O 3.526 -0.937 -1.125
O 0.814 -0.024 -1.732
O 4.713 -0.187 -5.443
H 5.003 -1.450 -3.143
H 0.561 0.781 -4.023
C -2.146 3.164 -2.412
F -1.009 2.748 -2.941
F -1.866 4.211 -1.593
F -2.991 3.620 -3.352
S -3.041 1.747 -1.526
O -4.439 2.007 -1.492
O -2.676 0.585 -2.232
N -2.265 1.816 0.014
S -3.313 2.669 0.881
O -3.691 3.889 0.229
O -4.293 1.927 1.608
C -2.322 3.429 2.290
F -3.147 3.782 3.255
F -1.357 2.600 2.745
F -1.646 4.494 1.901
C 1.316 5.559 -0.076
O 1.211 4.387 0.683
C 1.513 3.200 -0.093
C 2.102 2.066 0.737
N 1.001 1.698 1.640
C 1.372 0.816 2.769
C 0.206 0.398 3.681
O -0.875 -0.250 3.029
C -1.992 -0.382 3.908
H 1.071 6.398 0.570
H 0.617 5.514 -0.919
H 2.330 5.667 -0.478
H 2.045 3.410 -1.026
H 0.489 2.914 -0.403
H 2.967 2.499 1.259
H 2.309 1.288 -0.005
H 0.630 2.511 2.116
H 2.112 1.246 3.470
H 1.928 -0.071 2.456
H -0.050 1.320 4.233
H 0.576 -0.196 4.532
H -1.677 -0.537 4.942
H -2.489 -1.306 3.605
H -2.698 0.440 3.780
C 0.633 -3.496 1.571
C 0.686 -4.687 2.280
C 1.794 -4.884 3.096
C 2.776 -3.906 3.175
C 2.741 -2.752 2.409
C 1.686 -2.605 1.505
O 1.617 -1.548 0.690
O 1.979 -6.122 3.745
H -0.209 -3.319 0.896
H -0.056 -5.454 2.116
H 3.543 -4.030 3.944
H 3.505 -2.015 2.617
H 2.386 -1.386 -0.022
H 2.844 -6.065 4.168
```

Calculated values
charge	-3
HOMO energy	1.31	eV
orbital gap	3.50	eV
LUMO energy	4.81	eV
I especially loved the Recognition of Women in the IT Channel 2014 Honourees presentations. Each recipient of this prestigious award was filmed prior to the event giving the audience a chance to hear them speak about their careers and their hopes and visions for the future. The outstanding women in senior level/leadership roles in IT who were honored were the following: Lesley Andrews – Director, Business Development, CompuCom Canada Co., Julie Cloutier – Vice President Sales, ESI Technologies, Joanna Strong – President and CEO, Commerx, and Janice Siddons – Chief Operating Officer, TUC Managed IT Solutions. Huge congratulations to you all!
If all the above wasn’t enough to make this day so memorable, there was one more very special goodie in store to make it even moreso. The luncheon featured well-known and highly respected Canadian Icon, Dini Petty (Dini Petty), Award-winning Producer, Talk Show Host and Interviewer.
Dini delighted guests with many stories from her long and illustrious career and personal life, including the fact that she was only 22 when she got her license to do traffic reports from a (pink!) helicopter. She pointed out that she always had self-confidence but did not always have self esteem, and how the two are very different. In her own words, she explained what self esteem means to her: how you think/feel about, and what value you put on, yourself. For example, it’s the end of the day and you’re taking off your makeup and brushing your teeth and you capture your vision in the mirror and start saying to yourself – “I’m too fat; I’m too skinny; everything is wrong (with me)….” It can begin early in life – perhaps in school. Your classmates can teach you how to disrespect yourself by teasing you about your weight, sexuality, religion, etc. and it can continue on a never-ending downward spiral. Dini shared some very important salient advice. Low self esteem, she said, “is the gift that keeps on giving. If you have it, your children will copy it. If you change, however, they’ll see the change. Kids copy their parents. It’s not ‘do as I say.’ You can stop it.”
Another tip Dini shared was figuring out how your instinct works for you – “it’s the only way to protect yourself,” she said. She recommended two books for every woman to read: The Road Less Travelled by Scott Peck and Women Who Run with the Wolves by Dr. Estes.
A few times throughout her speech, Dini repeated some sage advice to the women in the room: “Take care of yourself, Love, because if you don’t, no one else will.” She added that we take better care of our cars than we do of ourselves. Women, she relayed, have come a long way but still have a long way to go. Dini, herself, finally decided to take things into her own hands at the age of 50 (she is now 70) with what she espouses is a simple formula for all of us to follow in order to take care of ourselves: Food, Water, Rest, Exercise. For those of us who find that drinking enough water throughout the day too difficult, Dini had an amusing solution – fill two large wine bottles full of water and pour from them – “You have no idea how much more water you’ll drink from a wine bottle!” Loved it!
The elegant dessert reception, following such a glorious morning and luncheon, was the icing on the cake (no pun intended), where guests could once again network and share their thoughts and observations about the day. I left the event energized and motivated to continue to encourage the young women of today to go after their dreams, and that the world is theirs if they want it. Other pioneers before have paved the road for them to travel on and if they want it, they can achieve anything. I felt honoured to be in the company of so many exciting women and deeply proud to have attended with Laura Tsingos, who continues to inspire the HighVail Systems Team from its founding and for its 11 years in existence thus far.
Joanne Brodkin is the marketing and communications manager for CDN Top 100 Solution Provider HighVail Systems.